Contents
┌──
(1)
Below is crystalline NaCdFeP2O8 at its relaxed geometry, with properties calculated at the GGA+U level.

Results
calculated density	3.2	g/cm3
total moment	0.36	μB/atom

a b c (Å): 8.405 9.036 17.964
angles (deg): 96.42 112.41 105.81
Fractional positions:
Cd (0.807, 0.828, 0.749)
Cd (0.221, 0.555, 0.912)
Cd (0.208, 0.353, 0.373)
Cd (0.968, 0.594, 0.514)
Cd (0.374, 0.591, 0.269)
Cd (0.371, 0.198, 0.917)
O (0.140, 0.555, 0.311)
O (0.937, 0.948, 0.390)
O (0.859, 0.149, 0.847)
O (0.070, 0.436, 0.448)
O (0.056, 0.111, 0.540)
O (0.079, 0.940, 0.949)
O (0.142, 0.805, 0.622)
O (0.541, 0.865, 0.726)
O (0.849, 0.344, 0.754)
O (0.841, 0.009, 0.141)
O (0.305, 0.979, 0.817)
O (0.915, 0.728, 0.234)
O (0.155, 0.733, 0.693)
O (0.109, 0.262, 0.239)
O (0.447, 0.109, 0.690)
O (0.730, 0.634, 0.624)
O (0.140, 0.252, 0.074)
O (0.519, 0.693, 0.971)
O (0.650, 0.182, 0.904)
O (0.894, 0.080, 0.715)
O (0.493, 0.532, 0.472)
O (0.382, 0.373, 0.020)
O (0.224, 0.974, 0.294)
O (0.150, 0.304, 0.838)
O (0.963, 0.425, 0.944)
O (0.598, 0.915, 0.281)
O (0.415, 0.518, 0.156)
O (0.549, 0.443, 0.900)
O (0.143, 0.683, 0.816)
O (0.833, 0.697, 0.998)
O (0.244, 0.970, 0.107)
O (0.487, 0.763, 0.566)
O (0.214, 0.731, 0.349)
O (0.699, 0.642, 0.811)
O (0.505, 0.198, 0.239)
O (0.780, 0.264, 0.178)
O (0.623, 0.710, 0.859)
O (0.889, 0.122, 0.290)
O (0.423, 0.024, 0.025)
O (0.899, 0.468, 0.085)
O (0.743, 0.777, 0.475)
O (0.708, 0.506, 0.402)
O (0.231, 0.195, 0.465)
O (0.200, 0.743, 0.202)
O (0.218, 0.926, 0.505)
O (0.404, 0.480, 0.591)
O (0.212, 0.732, 0.013)
O (0.027, 0.405, 0.585)
Na (0.934, 0.489, 0.676)
Na (0.837, 0.489, 0.300)
Na (0.555, 0.383, 0.720)
Na (0.935, 0.993, 0.039)
Na (0.843, 0.984, 0.581)
Na (0.685, 0.744, 0.122)
P (0.119, 0.792, 0.266)
P (0.783, 0.050, 0.346)
P (0.529, 0.607, 0.568)
P (0.859, 0.247, 0.929)
P (0.232, 0.912, 0.017)
P (0.114, 0.038, 0.475)
P (0.626, 0.620, 0.935)
P (0.905, 0.161, 0.205)
P (0.942, 0.226, 0.781)
P (0.327, 0.360, 0.092)
P (0.609, 0.621, 0.416)
P (0.129, 0.822, 0.775)
Fe (0.516, 0.173, 0.136)
Fe (0.387, 0.904, 0.619)
Fe (0.377, 0.989, 0.232)
Fe (0.015, 0.602, 0.050)
Fe (0.138, 0.337, 0.531)
Fe (0.519, 0.032, 0.786)



(2)
Below is crystalline NaCdFeP2O8 at its relaxed geometry, with properties calculated at the GGA+U level.

Results
calculated density	4.0	g/cm3
total moment	0.38	μB/atom

a b c (Å): 6.585 8.984 17.786
angles (deg): 91.85 106.24 107.15
Fractional positions:
Na (0.764, 0.014, 0.993)
Na (0.005, 0.501, 0.247)
Na (0.999, 0.499, 0.751)
Na (0.744, 0.734, 0.132)
Na (0.750, 0.013, 0.493)
Na (0.498, 0.500, 0.753)
O (0.119, 0.196, 0.593)
O (0.819, 0.421, 0.031)
O (0.897, 0.019, 0.667)
O (0.650, 0.184, 0.095)
O (0.749, 0.257, 0.769)
O (0.407, 0.824, 0.902)
O (0.198, 0.286, 0.234)
O (0.097, 0.977, 0.828)
O (0.531, 0.155, 0.867)
O (0.715, 0.431, 0.361)
O (0.467, 0.841, 0.633)
O (0.405, 0.342, 0.509)
O (0.043, 0.746, 0.589)
O (0.808, 0.715, 0.764)
O (0.964, 0.259, 0.420)
O (0.818, 0.387, 0.529)
O (0.545, 0.146, 0.372)
O (0.457, 0.853, 0.130)
O (0.328, 0.058, 0.209)
O (0.814, 0.716, 0.278)
O (0.668, 0.945, 0.290)
O (0.312, 0.531, 0.857)
O (0.596, 0.661, 0.990)
O (0.908, 0.017, 0.177)
O (0.686, 0.464, 0.642)
O (0.606, 0.175, 0.594)
O (0.866, 0.809, 0.906)
O (0.662, 0.456, 0.143)
O (0.866, 0.859, 0.413)
O (0.778, 0.246, 0.274)
O (0.187, 0.281, 0.737)
O (0.410, 0.320, 0.004)
O (0.249, 0.741, 0.731)
O (0.182, 0.616, 0.967)
O (0.094, 0.988, 0.327)
O (0.312, 0.053, 0.701)
O (0.738, 0.446, 0.872)
O (0.183, 0.579, 0.469)
O (0.035, 0.737, 0.078)
O (0.213, 0.755, 0.224)
O (0.339, 0.531, 0.360)
O (0.361, 0.810, 0.400)
O (0.118, 0.161, 0.091)
O (0.949, 0.244, 0.912)
O (0.685, 0.948, 0.796)
O (0.594, 0.684, 0.497)
O (0.266, 0.553, 0.629)
O (0.283, 0.569, 0.141)
P (0.253, 0.722, 0.644)
P (0.136, 0.132, 0.176)
P (0.131, 0.140, 0.675)
P (0.370, 0.651, 0.430)
P (0.863, 0.859, 0.824)
P (0.746, 0.277, 0.856)
P (0.372, 0.655, 0.928)
P (0.633, 0.346, 0.069)
P (0.751, 0.269, 0.357)
P (0.860, 0.873, 0.327)
P (0.248, 0.733, 0.141)
└──
What to do
Type out all of the calculation results further above with every line break kept.
Here it is
(1)
Below is crystalline NaCdFeP2O8 at its relaxed geometry, with properties calculated at the GGA+U level.

Results
calculated density	3.2	g/cm3
total moment	0.36	μB/atom

a b c (Å): 8.405 9.036 17.964
angles (deg): 96.42 112.41 105.81
Fractional positions:
Cd (0.807, 0.828, 0.749)
Cd (0.221, 0.555, 0.912)
Cd (0.208, 0.353, 0.373)
Cd (0.968, 0.594, 0.514)
Cd (0.374, 0.591, 0.269)
Cd (0.371, 0.198, 0.917)
O (0.140, 0.555, 0.311)
O (0.937, 0.948, 0.390)
O (0.859, 0.149, 0.847)
O (0.070, 0.436, 0.448)
O (0.056, 0.111, 0.540)
O (0.079, 0.940, 0.949)
O (0.142, 0.805, 0.622)
O (0.541, 0.865, 0.726)
O (0.849, 0.344, 0.754)
O (0.841, 0.009, 0.141)
O (0.305, 0.979, 0.817)
O (0.915, 0.728, 0.234)
O (0.155, 0.733, 0.693)
O (0.109, 0.262, 0.239)
O (0.447, 0.109, 0.690)
O (0.730, 0.634, 0.624)
O (0.140, 0.252, 0.074)
O (0.519, 0.693, 0.971)
O (0.650, 0.182, 0.904)
O (0.894, 0.080, 0.715)
O (0.493, 0.532, 0.472)
O (0.382, 0.373, 0.020)
O (0.224, 0.974, 0.294)
O (0.150, 0.304, 0.838)
O (0.963, 0.425, 0.944)
O (0.598, 0.915, 0.281)
O (0.415, 0.518, 0.156)
O (0.549, 0.443, 0.900)
O (0.143, 0.683, 0.816)
O (0.833, 0.697, 0.998)
O (0.244, 0.970, 0.107)
O (0.487, 0.763, 0.566)
O (0.214, 0.731, 0.349)
O (0.699, 0.642, 0.811)
O (0.505, 0.198, 0.239)
O (0.780, 0.264, 0.178)
O (0.623, 0.710, 0.859)
O (0.889, 0.122, 0.290)
O (0.423, 0.024, 0.025)
O (0.899, 0.468, 0.085)
O (0.743, 0.777, 0.475)
O (0.708, 0.506, 0.402)
O (0.231, 0.195, 0.465)
O (0.200, 0.743, 0.202)
O (0.218, 0.926, 0.505)
O (0.404, 0.480, 0.591)
O (0.212, 0.732, 0.013)
O (0.027, 0.405, 0.585)
Na (0.934, 0.489, 0.676)
Na (0.837, 0.489, 0.300)
Na (0.555, 0.383, 0.720)
Na (0.935, 0.993, 0.039)
Na (0.843, 0.984, 0.581)
Na (0.685, 0.744, 0.122)
P (0.119, 0.792, 0.266)
P (0.783, 0.050, 0.346)
P (0.529, 0.607, 0.568)
P (0.859, 0.247, 0.929)
P (0.232, 0.912, 0.017)
P (0.114, 0.038, 0.475)
P (0.626, 0.620, 0.935)
P (0.905, 0.161, 0.205)
P (0.942, 0.226, 0.781)
P (0.327, 0.360, 0.092)
P (0.609, 0.621, 0.416)
P (0.129, 0.822, 0.775)
Fe (0.516, 0.173, 0.136)
Fe (0.387, 0.904, 0.619)
Fe (0.377, 0.989, 0.232)
Fe (0.015, 0.602, 0.050)
Fe (0.138, 0.337, 0.531)
Fe (0.519, 0.032, 0.786)



(2)
Below is crystalline NaCdFeP2O8 at its relaxed geometry, with properties calculated at the GGA+U level.

Results
calculated density	4.0	g/cm3
total moment	0.38	μB/atom

a b c (Å): 6.585 8.984 17.786
angles (deg): 91.85 106.24 107.15
Fractional positions:
Na (0.764, 0.014, 0.993)
Na (0.005, 0.501, 0.247)
Na (0.999, 0.499, 0.751)
Na (0.744, 0.734, 0.132)
Na (0.750, 0.013, 0.493)
Na (0.498, 0.500, 0.753)
O (0.119, 0.196, 0.593)
O (0.819, 0.421, 0.031)
O (0.897, 0.019, 0.667)
O (0.650, 0.184, 0.095)
O (0.749, 0.257, 0.769)
O (0.407, 0.824, 0.902)
O (0.198, 0.286, 0.234)
O (0.097, 0.977, 0.828)
O (0.531, 0.155, 0.867)
O (0.715, 0.431, 0.361)
O (0.467, 0.841, 0.633)
O (0.405, 0.342, 0.509)
O (0.043, 0.746, 0.589)
O (0.808, 0.715, 0.764)
O (0.964, 0.259, 0.420)
O (0.818, 0.387, 0.529)
O (0.545, 0.146, 0.372)
O (0.457, 0.853, 0.130)
O (0.328, 0.058, 0.209)
O (0.814, 0.716, 0.278)
O (0.668, 0.945, 0.290)
O (0.312, 0.531, 0.857)
O (0.596, 0.661, 0.990)
O (0.908, 0.017, 0.177)
O (0.686, 0.464, 0.642)
O (0.606, 0.175, 0.594)
O (0.866, 0.809, 0.906)
O (0.662, 0.456, 0.143)
O (0.866, 0.859, 0.413)
O (0.778, 0.246, 0.274)
O (0.187, 0.281, 0.737)
O (0.410, 0.320, 0.004)
O (0.249, 0.741, 0.731)
O (0.182, 0.616, 0.967)
O (0.094, 0.988, 0.327)
O (0.312, 0.053, 0.701)
O (0.738, 0.446, 0.872)
O (0.183, 0.579, 0.469)
O (0.035, 0.737, 0.078)
O (0.213, 0.755, 0.224)
O (0.339, 0.531, 0.360)
O (0.361, 0.810, 0.400)
O (0.118, 0.161, 0.091)
O (0.949, 0.244, 0.912)
O (0.685, 0.948, 0.796)
O (0.594, 0.684, 0.497)
O (0.266, 0.553, 0.629)
O (0.283, 0.569, 0.141)
P (0.253, 0.722, 0.644)
P (0.136, 0.132, 0.176)
P (0.131, 0.140, 0.675)
P (0.370, 0.651, 0.430)
P (0.863, 0.859, 0.824)
P (0.746, 0.277, 0.856)
P (0.372, 0.655, 0.928)
P (0.633, 0.346, 0.069)
P (0.751, 0.269, 0.357)
P (0.860, 0.873, 0.327)
P (0.248, 0.733, 0.141)